Example #1
        public override void AnnounceServer(string serverId, ServerContext context)
            if (serverId == null) throw new ArgumentNullException(nameof(serverId));
            if (context == null) throw new ArgumentNullException(nameof(context));

            var data = new ServerData
                WorkerCount = context.WorkerCount,
                Queues = context.Queues,
                StartedAt = DateTime.UtcNow,

            _storage.UseConnection(connection =>
$@";merge [{_storage.SchemaName}].Server with (holdlock) as Target
using (VALUES (@id, @data, @heartbeat)) as Source (Id, Data, Heartbeat)
on Target.Id = Source.Id
when matched then update set Data = Source.Data, LastHeartbeat = Source.Heartbeat
when not matched then insert (Id, Data, LastHeartbeat) values (Source.Id, Source.Data, Source.Heartbeat);",
                    new { id = serverId, data = JobHelper.ToJson(data), heartbeat = DateTime.UtcNow });
        public override void AnnounceServer(string serverId, ServerContext context)
            if (serverId == null) throw new ArgumentNullException("serverId");
            if (context == null) throw new ArgumentNullException("context");

            var data = new ServerData
                WorkerCount = context.WorkerCount,
                Queues = context.Queues,
                StartedAt = DateTime.UtcNow,

                @";merge HangFire.Server with (holdlock) as Target "
                + @"using (VALUES (@id, @data, @heartbeat)) as Source (Id, Data, Heartbeat) "
                + @"on Target.Id = Source.Id "
                + @"when matched then update set Data = Source.Data, LastHeartbeat = Source.Heartbeat "
                + @"when not matched then insert (Id, Data, LastHeartbeat) values (Source.Id, Source.Data, Source.Heartbeat);",
                new { id = serverId, data = JobHelper.ToJson(data), heartbeat = DateTime.UtcNow });
        public override void AnnounceServer(string serverId, ServerContext context)
            if (serverId == null) throw new ArgumentNullException(nameof(serverId));
            if (context == null) throw new ArgumentNullException(nameof(context));

• Inserted here: calculated crystals:
- - -
Diffraction record for LiP2WO8. The powder diffractogram is calculated, not measured: it uses a GGA+U-relaxed structure and CuKα.
Peak positions follow from Bragg's law for the DFT cell and can differ from measured ones.

Most intense lines, 2θ from 15° to 90°, in order of rising 2θ:
19.85°, rel. 55; 21.97°, rel. 20; 24.09°, rel. 100; 24.45°, rel. 56; 31.67°, rel. 38; 33.19°, rel. 36; 33.38°, rel. 21; 37.31°, rel. 25; 38.56°, rel. 21; 42.41°, rel. 17

Crystal structure
Unit cell a=4.8678 b=4.8678 c=7.0391 alpha=94.05 beta=94.05 gamma=66.93
Atoms (fractional coordinates):
Li: 0.0000 0.0000 0.0000
P: 0.3386 0.3386 0.2709
P: 0.6614 0.6614 0.7291
W: 0.0000 0.0000 0.5000
O: 0.2181 0.6906 0.2978
O: 0.2352 0.2352 0.4518
O: 0.2366 0.2366 0.0867
O: 0.3094 0.7819 0.7022
O: 0.6906 0.2181 0.2978
O: 0.7634 0.7634 0.9133
O: 0.7648 0.7648 0.5482
O: 0.7819 0.3094 0.7022

***

Diffraction record for Li9Mn7O16. The powder diffractogram is calculated, not measured: it uses a GGA+U-relaxed structure and CuKα.
Peak positions follow from Bragg's law for the DFT cell and can differ from measured ones.

Most intense lines, 2θ from 15° to 90°, in order of rising 2θ:
18.27°, rel. 100; 33.70°, rel. 19; 36.13°, rel. 24; 40.60°, rel. 35; 44.11°, rel. 55; 46.79°, rel. 10; 58.16°, rel. 9; 61.15°, rel. 17; 61.84°, rel. 16; 64.74°, rel. 8

Crystal structure
Unit cell a=10.5511 b=10.5511 c=10.7150 alpha=111.46 beta=111.46 gamma=15.69
Atoms (fractional coordinates):
Li: 0.0000 0.0000 0.0000
Li: 0.1209 0.1209 0.9367
Li: 0.1234 0.1234 0.4323
Li: 0.3729 0.3729 0.3061
Li: 0.3779 0.3779 0.8187
Li: 0.6221 0.6221 0.1813
Li: 0.6271 0.6271 0.6939
Li: 0.8766 0.8766 0.5677
Li: 0.8791 0.8791 0.0633
Mn: 0.0000 0.0000 0.5000
Mn: 0.2500 0.2500 0.3750
Mn: 0.2519 0.2519 0.8768
Mn: 0.4966 0.4966 0.2355
Mn: 0.5034 0.5034 0.7645
Mn: 0.7481 0.7481 0.1232
Mn: 0.7500 0.7500 0.6250
O: 0.0562 0.0562 0.2233
O: 0.0567 0.0567 0.7233
O: 0.1899 0.1899 0.1479
O: 0.1908 0.1908 0.6472
O: 0.3069 0.3069 0.1027
O: 0.3083 0.3083 0.6021
O: 0.4443 0.4443 0.0568
O: 0.4470 0.4470 0.5423
O: 0.5530 0.5530 0.4577
O: 0.5557 0.5557 0.9432
O: 0.6917 0.6917 0.3979
O: 0.6931 0.6931 0.8973
O: 0.8092 0.8092 0.3528
O: 0.8101 0.8101 0.8521
O: 0.9433 0.9433 0.2767
O: 0.9438 0.9438 0.7767

***

Diffraction record for Sr2PrVO6. The powder diffractogram is calculated, not measured: it uses a GGA+U-relaxed structure and CuKα.
Peak positions follow from Bragg's law for the DFT cell and can differ from measured ones.

Most intense lines, 2θ from 15° to 90°, in order of rising 2θ:
18.25°, rel. 10; 30.03°, rel. 100; 35.37°, rel. 10; 42.98°, rel. 34; 47.06°, rel. 7; 53.32°, rel. 39; 62.41°, rel. 20; 70.79°, rel. 18; 78.77°, rel. 6; 86.53°, rel. 21

Crystal structure
Unit cell a=5.9522 b=5.9522 c=5.9522 alpha=60.00 beta=60.00 gamma=60.00
Atoms (fractional coordinates):
Sr: 0.2500 0.2500 0.2500
Sr: 0.7500 0.7500 0.7500
Pr: 0.0000 0.0000 0.0000
V: 0.5000 0.5000 0.5000
O: 0.2742 0.2742 0.7258
O: 0.2742 0.7258 0.2742
O: 0.2742 0.7258 0.7258
- - -
• The page goes on:

            var data = new ServerData
                WorkerCount = context.WorkerCount,
                Queues = context.Queues,
                StartedAt = DateTime.UtcNow,

            _storage.UseConnection(connection =>
                var sql =
                    _storage.SqlServerSettings != null &&
                        ? _storage.SqlServerSettings.AnnounceServerSql
                        : @";merge [{0}].Server with (holdlock) as Target "
                    + @"using (VALUES (@id, @data, @heartbeat)) as Source (Id, Data, Heartbeat) "
                    + @"on Target.Id = Source.Id "
                    + @"when matched then update set Data = Source.Data, LastHeartbeat = Source.Heartbeat "
                    @"when not matched then insert (Id, Data, LastHeartbeat) values (Source.Id, Source.Data, Source.Heartbeat);";

                        string.Format(sql, _storage.SchemaName),
                        new { id = serverId, data = JobHelper.ToJson(data), heartbeat = DateTime.UtcNow });